Data:
-- begin --
No. 1
12
Properties=species:S:1:pos:R:3:forces:R:3:lowdin_charge:R:1 method="wB97M-V/def2-TZVPD" total_charge=+1 lumo_energy_ev=-3.9 homo_lumo_gap_ev=11.62 de_lowest_kj_mol=287.2 total_energy_ha=-322.76949
C 2.97751 0.26466 -0.32068 0.1 0.2 -1.2 0.12
C -1.40544 -1.48042 0.06056 -0.5 -0.6 2.7 0.03
C -0.76893 0.81436 0.02741 3.8 0.6 0.9 -0.17
N 2.08773 0.71590 0.24448 0.8 -0.4 -0.3 0.11
O -1.08277 2.09831 0.10010 -0.6 -1.7 0.4 0.15
O -1.66513 -0.06400 0.16678 -0.3 1.5 -0.8 0.04
H 3.69792 -0.07540 -1.09446 -0.4 0.2 1.2 0.13
H -0.36191 -1.74936 -0.05503 0.0 0.3 -0.2 0.10
H -2.08582 -1.90914 -0.61196 -0.5 -0.1 -1.7 0.09
H -1.84729 -1.88862 1.00962 1.0 0.4 -0.5 0.13
H 0.72987 0.70861 0.07818 -3.1 -0.4 0.0 0.13
H -0.27574 2.56512 0.39500 -0.4 0.1 -0.5 0.14

***

No. 2
48
Properties=species:S:1:pos:R:3:forces:R:3:lowdin_charge:R:1 method="wB97M-V/def2-TZVPD" total_charge=0 lumo_energy_ev=0.0 homo_lumo_gap_ev=9.94 de_lowest_kj_mol=131.9 total_energy_ha=-31359.77671
Br 14.80265 -5.21020 13.59521 -1.4 0.5 1.0 0.49
C 13.12125 -4.62509 14.65099 0.8 0.5 -0.1 -0.62
C 13.30964 -3.19449 15.25166 -0.6 -0.9 -1.1 -0.60
Br 11.48539 -2.49920 15.67349 0.7 -0.3 0.2 0.62
H 12.95727 -5.35580 15.44300 0.3 0.0 -0.1 -0.01
H 12.29040 -4.72534 13.95261 0.3 0.4 -0.1 0.04
H 13.63228 -2.43852 14.53576 0.2 -0.4 0.0 0.04
H 13.98010 -3.23454 16.11013 -0.5 0.2 0.1 0.07
Br 7.75700 -5.25446 22.06635 1.3 0.6 0.8 0.52
C 9.09948 -4.14370 23.18105 -1.0 0.2 0.0 -0.57
C 8.29466 -2.91547 23.61237 0.9 -0.1 -0.4 -0.67
Br 9.43073 -1.79765 24.86433 -0.8 -0.8 -0.7 0.55
H 9.95382 -3.88445 22.55576 -0.3 -0.2 -0.1 0.05
H 9.42281 -4.72332 24.04569 -0.2 -0.3 -0.3 0.05
H 7.34814 -3.22812 24.05336 0.3 0.4 0.3 0.03
H 8.13358 -2.28676 22.73666 -0.2 0.1 0.3 0.03
Br 10.18176 0.17448 20.51835 0.1 -0.1 -0.2 0.60
C 12.05088 0.04983 19.95062 0.4 0.8 0.6 -0.66
C 12.64738 1.49744 20.05094 -0.5 -1.1 0.1 -0.69
Br 14.60797 1.45616 19.88868 -0.6 0.0 -0.1 0.59
H 12.06624 -0.47572 18.99581 0.1 0.6 -0.1 0.04
H 12.52760 -0.59899 20.68538 0.0 0.2 0.0 0.04
H 12.42376 1.88971 21.04302 0.2 -0.2 0.0 0.04
H 12.20119 2.19839 19.34548 0.3 -0.3 -0.2 0.05
Br 13.02922 -8.65278 15.72738 -0.6 -0.4 -0.2 0.60
C 11.40773 -9.32124 14.83455 -0.6 1.2 -0.4 -0.65
C 10.65164 -8.13616 14.19052 0.3 0.0 0.5 -0.66
Br 9.63434 -7.14734 15.52299 -0.4 -0.3 -0.1 0.64
H 10.71868 -9.75798 15.55745 0.5 -0.2 0.1 0.05
H 11.66888 -10.04508 14.06256 0.3 0.1 0.2 0.06
H 9.92064 -8.47500 13.45640 0.2 0.0 0.0 0.06
H 11.29459 -7.33279 13.83093 0.1 -0.6 -0.5 0.02
Br 11.37408 -5.65104 18.02603 -1.1 0.4 0.2 0.52
C 9.48066 -4.85517 18.02211 1.3 0.3 0.2 -0.61
C 9.69523 -3.53577 18.76531 -1.1 -0.6 0.5 -0.66
Br 7.89711 -2.64409 18.96942 0.9 -0.1 -0.5 0.59
H 8.81142 -5.56244 18.51198 0.3 0.1 0.3 0.05
H 9.17077 -4.76280 16.98118 0.3 0.2 0.1 0.01
H 10.44900 -2.88999 18.31486 -0.5 0.1 -0.1 -0.01
H 9.93895 -3.70876 19.81354 0.2 -0.1 -0.2 0.02
Br 4.67921 -2.96197 22.20081 0.2 0.4 -0.8 0.57
C 4.64374 -3.38308 20.23811 0.7 0.6 1.4 -0.67
C 3.72049 -4.50540 20.12183 -1.2 -1.3 -1.3 -0.73
Br 1.82899 -3.93403 20.04776 0.6 -0.3 0.2 0.59
H 5.63657 -3.73312 19.95548 0.1 0.2 0.3 -0.03
H 4.38056 -2.48416 19.68063 -0.1 -0.1 0.2 0.06
H 3.85472 -5.29301 20.86329 -0.2 0.4 0.2 0.06
H 3.90155 -5.00178 19.16846 -0.2 0.1 -0.2 0.06

***

No. 3
17
Properties=species:S:1:pos:R:3:forces:R:3:lowdin_spin:R:1 method="wB97M-V/def2-TZVPD" spin_multiplicity=2 s2=0.75 total_charge=-1 lumo_energy_ev="3.7 / 3.6" homo_lumo_gap_ev="3.37 / 6.85" de_lowest_kj_mol=34.7 total_energy_ha=-346.91997
O -2.86286 1.40453 -0.83846 -0.3 0.2 -0.4 0.30
C -2.69287 0.21067 -0.42068 0.8 0.1 0.7 0.45
C -1.25199 -0.38080 -0.45310 -2.1 1.1 0.9 0.09
C -0.29164 0.61440 0.20132 0.8 0.6 -1.0 0.03
C 1.18433 0.45351 -0.31368 -1.7 -1.5 0.6 0.01
C 1.81802 -0.78056 0.30084 1.5 -0.7 0.6 0.00
O 2.35185 -0.54656 1.64454 -0.5 0.8 -0.8 0.00
H -3.52055 -0.51280 -0.38808 0.0 -0.2 -0.1 0.05
H -1.11734 -0.53765 -1.53429 0.9 -0.4 0.1 0.03
H -1.31843 -1.24334 0.21931 0.3 -0.5 -0.8 0.01
H -0.46712 0.53300 1.27724 0.6 -0.1 0.1 0.02
-- stop --

What to do:
It remains to start at the top of the notes further above and write out each line, ending with the one that has "20.86329 -0.2".

Here it is:
No. 1
12
Properties=species:S:1:pos:R:3:forces:R:3:lowdin_charge:R:1 method="wB97M-V/def2-TZVPD" total_charge=+1 lumo_energy_ev=-3.9 homo_lumo_gap_ev=11.62 de_lowest_kj_mol=287.2 total_energy_ha=-322.76949
C 2.97751 0.26466 -0.32068 0.1 0.2 -1.2 0.12
C -1.40544 -1.48042 0.06056 -0.5 -0.6 2.7 0.03
C -0.76893 0.81436 0.02741 3.8 0.6 0.9 -0.17
N 2.08773 0.71590 0.24448 0.8 -0.4 -0.3 0.11
O -1.08277 2.09831 0.10010 -0.6 -1.7 0.4 0.15
O -1.66513 -0.06400 0.16678 -0.3 1.5 -0.8 0.04
H 3.69792 -0.07540 -1.09446 -0.4 0.2 1.2 0.13
H -0.36191 -1.74936 -0.05503 0.0 0.3 -0.2 0.10
H -2.08582 -1.90914 -0.61196 -0.5 -0.1 -1.7 0.09
H -1.84729 -1.88862 1.00962 1.0 0.4 -0.5 0.13
H 0.72987 0.70861 0.07818 -3.1 -0.4 0.0 0.13
H -0.27574 2.56512 0.39500 -0.4 0.1 -0.5 0.14

***

No. 2
48
Properties=species:S:1:pos:R:3:forces:R:3:lowdin_charge:R:1 method="wB97M-V/def2-TZVPD" total_charge=0 lumo_energy_ev=0.0 homo_lumo_gap_ev=9.94 de_lowest_kj_mol=131.9 total_energy_ha=-31359.77671
Br 14.80265 -5.21020 13.59521 -1.4 0.5 1.0 0.49
C 13.12125 -4.62509 14.65099 0.8 0.5 -0.1 -0.62
C 13.30964 -3.19449 15.25166 -0.6 -0.9 -1.1 -0.60
Br 11.48539 -2.49920 15.67349 0.7 -0.3 0.2 0.62
H 12.95727 -5.35580 15.44300 0.3 0.0 -0.1 -0.01
H 12.29040 -4.72534 13.95261 0.3 0.4 -0.1 0.04
H 13.63228 -2.43852 14.53576 0.2 -0.4 0.0 0.04
H 13.98010 -3.23454 16.11013 -0.5 0.2 0.1 0.07
Br 7.75700 -5.25446 22.06635 1.3 0.6 0.8 0.52
C 9.09948 -4.14370 23.18105 -1.0 0.2 0.0 -0.57
C 8.29466 -2.91547 23.61237 0.9 -0.1 -0.4 -0.67
Br 9.43073 -1.79765 24.86433 -0.8 -0.8 -0.7 0.55
H 9.95382 -3.88445 22.55576 -0.3 -0.2 -0.1 0.05
H 9.42281 -4.72332 24.04569 -0.2 -0.3 -0.3 0.05
H 7.34814 -3.22812 24.05336 0.3 0.4 0.3 0.03
H 8.13358 -2.28676 22.73666 -0.2 0.1 0.3 0.03
Br 10.18176 0.17448 20.51835 0.1 -0.1 -0.2 0.60
C 12.05088 0.04983 19.95062 0.4 0.8 0.6 -0.66
C 12.64738 1.49744 20.05094 -0.5 -1.1 0.1 -0.69
Br 14.60797 1.45616 19.88868 -0.6 0.0 -0.1 0.59
H 12.06624 -0.47572 18.99581 0.1 0.6 -0.1 0.04
H 12.52760 -0.59899 20.68538 0.0 0.2 0.0 0.04
H 12.42376 1.88971 21.04302 0.2 -0.2 0.0 0.04
H 12.20119 2.19839 19.34548 0.3 -0.3 -0.2 0.05
Br 13.02922 -8.65278 15.72738 -0.6 -0.4 -0.2 0.60
C 11.40773 -9.32124 14.83455 -0.6 1.2 -0.4 -0.65
C 10.65164 -8.13616 14.19052 0.3 0.0 0.5 -0.66
Br 9.63434 -7.14734 15.52299 -0.4 -0.3 -0.1 0.64
H 10.71868 -9.75798 15.55745 0.5 -0.2 0.1 0.05
H 11.66888 -10.04508 14.06256 0.3 0.1 0.2 0.06
H 9.92064 -8.47500 13.45640 0.2 0.0 0.0 0.06
H 11.29459 -7.33279 13.83093 0.1 -0.6 -0.5 0.02
Br 11.37408 -5.65104 18.02603 -1.1 0.4 0.2 0.52
C 9.48066 -4.85517 18.02211 1.3 0.3 0.2 -0.61
C 9.69523 -3.53577 18.76531 -1.1 -0.6 0.5 -0.66
Br 7.89711 -2.64409 18.96942 0.9 -0.1 -0.5 0.59
H 8.81142 -5.56244 18.51198 0.3 0.1 0.3 0.05
H 9.17077 -4.76280 16.98118 0.3 0.2 0.1 0.01
H 10.44900 -2.88999 18.31486 -0.5 0.1 -0.1 -0.01
H 9.93895 -3.70876 19.81354 0.2 -0.1 -0.2 0.02
Br 4.67921 -2.96197 22.20081 0.2 0.4 -0.8 0.57
C 4.64374 -3.38308 20.23811 0.7 0.6 1.4 -0.67
C 3.72049 -4.50540 20.12183 -1.2 -1.3 -1.3 -0.73
Br 1.82899 -3.93403 20.04776 0.6 -0.3 0.2 0.59
H 5.63657 -3.73312 19.95548 0.1 0.2 0.3 -0.03
H 4.38056 -2.48416 19.68063 -0.1 -0.1 0.2 0.06
H 3.85472 -5.29301 20.86329 -0.2 0.4 0.2 0.06